My Home

There are a lot of places I’ve lived at, but I would like to tell you about the ones that filled me with the richest memories.
### Between two parts of the text: materials data
-- begin --
Entry 1:
Structure and simulated X-ray diffraction stick pattern of LiFeF4 (DFT lattice parameters and positions (GGA+U); CuKα).

Crystal structure
```
data_LiFeF4
_symmetry_space_group_name_H-M 'C 1 2/m 1'
_symmetry_Int_Tables_number 12
_symmetry_space_group_name_Hall '-C 2y'
_cell_length_a 10.763
_cell_length_b 3.079
_cell_length_c 5.475
_cell_angle_alpha 90.00
_cell_angle_beta 120.32
_cell_angle_gamma 90.00
loop_
_atom_site_label
_atom_site_fract_x
_atom_site_fract_y
_atom_site_fract_z
_atom_site_occupancy
Li1 0.000 0.000 0.000 1
Fe1 0.000 0.500 0.500 1
F1 0.090 0.500 0.277 1
F2 0.116 0.000 0.745 1
```

Main lines, sorted by position (5° ≤ 2θ ≤ 70°):
| Position (°2θ) | I_rel | h k l |
| --- | --- | --- |
| 18.81 | 100 | 0 0 1 |
| 19.11 | 96 | 2 0 0 |
| 30.59 | 26 | 1 1 0 |
| 38.24 | 28 | 4 0 -2 |
| 38.71 | 53 | 1 1 1 |
| 41.35 | 17 | 3 1 0 |
| 51.73 | 10 | 6 0 -2 |
| 52.02 | 27 | 3 1 1 |
| 58.83 | 21 | 3 1 -3 |
| 60.10 | 9 | 0 2 0 |

***

Entry 2:
Structure and simulated X-ray diffraction stick pattern of Ho5Mo2O12 (DFT lattice parameters and positions (GGA+U); CuKα).

Crystal structure
```
data_Ho5Mo2O12
_symmetry_space_group_name_H-M 'C 1 2/m 1'
_symmetry_Int_Tables_number 12
_symmetry_space_group_name_Hall '-C 2y'
_cell_length_a 12.322
_cell_length_b 5.991
_cell_length_c 7.312
_cell_angle_alpha 90.00
_cell_angle_beta 107.37
_cell_angle_gamma 90.00
loop_
_atom_site_label
_atom_site_fract_x
_atom_site_fract_y
_atom_site_fract_z
_atom_site_occupancy
Ho1 0.000 0.000 0.000 1
Ho2 0.191 0.500 0.323 1
Ho3 0.200 0.500 0.864 1
Mo1 0.000 0.247 0.500 1
O1 0.001 0.500 0.303 1
O2 0.003 0.000 0.313 1
O3 0.153 0.250 0.072 1
O4 0.167 0.267 0.587 1
```

Main lines, sorted by position (5° ≤ 2θ ≤ 70°):
| Position (°2θ) | I_rel | h k l |
| --- | --- | --- |
| 27.19 | 96 | 3 1 0 |
| 28.61 | 100 | 1 1 -2 |
| 29.83 | 21 | 0 2 0 |
| 32.50 | 41 | 0 2 1 |
| 33.53 | 71 | 2 0 2 |
| 45.48 | 31 | 2 2 2 |
| 49.89 | 19 | 2 0 -4 |
| 52.17 | 30 | 1 3 -2 |
| 55.68 | 26 | 6 2 -2 |
| 57.74 | 19 | 1 1 4 |

***

Entry 3:
Structure and simulated X-ray diffraction stick pattern of Ce2MgV2O8 (DFT lattice parameters and positions (GGA+U); CuKα).

Crystal structure
```
data_Ce2MgV2O8
_symmetry_space_group_name_H-M 'P 1'
_symmetry_Int_Tables_number 1
_symmetry_space_group_name_Hall 'P 1'
_cell_length_a 6.220
_cell_length_b 6.224
_cell_length_c 6.339
_cell_angle_alpha 106.30
_cell_angle_beta 106.37
_cell_angle_gamma 115.24
loop_
_atom_site_label
_atom_site_fract_x
_atom_site_fract_y
_atom_site_fract_z
_atom_site_occupancy
Ce1 0.000 0.000 0.000 1
Ce2 0.280 0.716 0.501 1
Mg1 0.986 0.012 0.501 1
V1 0.506 0.493 0.002 1
V2 0.724 0.273 0.501 1
O1 0.298 0.116 0.789 1
O2 0.307 0.476 0.183 1
O3 0.371 0.069 0.322 1
O4 0.522 0.691 0.821 1
O5 0.762 0.060 0.656 1
O6 0.881 0.697 0.216 1
O7 0.928 0.625 0.682 1
O8 0.938 0.237 0.348 1
```

Main lines, sorted by position (5° ≤ 2θ ≤ 70°):
| Position (°2θ) | I_rel | h k l |
| --- | --- | --- |
| 17.78 | 41 | 0 1 -1 |
| 23.64 | 100 | 1 -1 1 |
-- stop --
Of course, my home in Russia is the dearest and the most important place in my life. I nearly cried this summer, when I came to my hometown and stayed there for three months, after two years of being away from there. All my childhood joys and grieves, first steps and first laughs happened in that house. It will always remain as the place where I could feel safe, where I could sit and talk to my parents while drinking a cup of tea.
This will always be the place, where I can do anything I want. My mother would tell me about how I used to “paint” the walls with a stick of butter, when I was two years old; my parents had to rehang all the wallpaper, but they weren’t angry at all. When I decided that I wanted to play an instrument, my parents bought me a piano and enrolled me in music school. Those were the best years of my childhood, and I am sure that even now all the neighbors remember the music I used to play every day for eight years! I hope it wasn’t very bad.
I believe that my house is very friendly and gives a hearty welcome to everybody. Otherwise, my cat wouldn’t have come to our doors and wouldn’t have sat there for three days. He knew he would find decent food and good attitude there; and indeed, he found it. At first, my dad would grumble a little at our new red-haired kitten, but he thawed very quickly, as the cat would purr happily only at dad’s voice.
Although, like many siblings, I used to fight with my sister and brother; my parents would always find the way to calm us down, and there wasn’t anything funnier for me and my sister than to tell each other mysterious stories before going to bed.
My home will always be the place where my childhood lives; and that’s why it will always remain precious to me.
Now I live in a different place, in a different country, and with different people. I may sound weird, but when I was in Russia this summer I was longing to return to my house in New York. Though now my home is a tiny apartment in the center of Brooklyn, it’s a place where I am a co-head and I am responsible for it. It feels great to come back there every evening, plan our next day with my fiancйe and dream about our future. Despite we’re not the richest people in the world and cannot yet afford a bigger place to live, we are happy with it.
It doesn’t matter where you live, or how much money you put into your house; I believe that the most important is what kind of people surround you, and what emotions you have when you think about going home. I am happy that there will always be two places where I can come and feel at home.
